Handling Radar Cross-Section Performance in Monitoring Vital Signs Under Constraint Conditions, Frontiers in Signal Processing
F. Khan et al., Handling Radar Cross-Section Performance in Monitoring Vital Signs Under Constraint Conditions, Frontiers in Signal Processing, Vol. 1, 2021, DOI: 10.3389/frsip.2021.742441, ISSN: 2673-8198.
Inserted here: calculated crystals:
Record 1
DFT (PBE-GGA) results for a geometry-optimized AcTb10Pm4 structure.

```
15
Lattice="6.142 0.000 2.774 3.071 9.058 1.387 -0.657 0.000 9.642" Properties=species:S:1:pos:R:3 pbc="T T T"
Ac 0.000 0.000 0.000
Tb 2.743 4.529 6.208
Tb 4.559 3.847 10.369
Tb 6.096 1.484 6.974
Tb 5.535 7.574 8.217
Tb 7.066 5.211 4.819
Tb 3.998 5.211 3.433
Tb 5.814 4.529 7.595
Tb 1.491 3.847 8.984
Tb 3.022 1.484 5.586
Tb 2.461 7.574 6.829
Pm 5.223 8.038 4.809
Pm 5.905 6.825 11.487
Pm 2.652 2.233 2.316
Pm 3.334 1.020 8.994
```

Properties
- E_form: 0.514 eV/atom
- Symmetry: I4/m, No. 87
- Total magnetic moment: 0.000 μB per cell
- E: -4.113 eV per atom



Record 2
DFT (PBE-GGA) results for a geometry-optimized NdMg12Ni5 structure.

```
18
Lattice="1.471 -7.338 -1.841 5.649 3.936 3.464 -5.505 0.576 5.363" Properties=species:S:1:pos:R:3 pbc="T T T"
Nd 0.072 2.256 4.414
Mg 1.419 -0.414 5.756
Mg 0.196 -2.413 1.230
Mg -1.685 -5.566 2.872
Mg 3.300 2.739 4.114
Mg 2.819 -2.167 3.090
Mg -1.204 -0.660 3.896
Mg -1.151 0.983 7.112
Mg 2.766 -3.810 -0.126
Mg 0.219 -3.187 4.694
Mg 1.396 0.360 2.292
Mg 1.476 2.847 7.158
Mg 0.139 -5.674 -0.172
Ni 4.623 -2.209 1.054
Ni 2.498 -1.194 0.569
Ni -2.000 -2.850 2.801
Ni 3.615 0.023 4.185
Ni 0.000 0.000 0.000
```

Properties
- E_form: -0.082 eV/atom
- Symmetry: Immm, No. 71
- Total magnetic moment: 0.000 μB per cell
- E: -3.016 eV per atom



Record 3
DFT (PBE-GGA) results for a geometry-optimized KRe2Te structure.

```
4
Lattice="-1.739 3.025 -5.390 -5.436 -2.033 -2.748 3.107 2.767 4.891" Properties=species:S:1:pos:R:3 pbc="T T T"
K -3.013 0.623 -1.025
Re -6.627 0.917 -7.516
Re -1.249 3.163 -2.442
Te -3.942 0.545 -4.470
```

Properties
- Uncorrected formation energy: 1001.0 meV per atom
- Symmetry: Imm2, No. 44
- Total magnetic moment: 0.490 μB per cell
- E: -6.283 eV per atom



Record 4
DFT (PBE-GGA) results for a geometry-optimized SrTlTcPt2 structure.

```
5
Lattice="-1.739 3.995 2.804 0.381 -2.825 4.260 4.866 1.654 0.662" Properties=species:S:1:pos:R:3 pbc="T T T"
Sr 1.753 1.412 3.863
Tl 0.000 0.000 0.000
Tc 0.190 -1.412 2.130
Pt 2.433 0.827 0.331
Pt -0.870 1.997 1.402
```

Properties
- E_form: 0.868 eV/atom
- Symmetry: P4/mmm, No. 123
- Total magnetic moment: 3.281 μB per cell
- E: -4.432 eV per atom



Record 5
DFT (PBE-GGA) results for a geometry-optimized Li2TbGa structure.

```
4
Lattice="0.571 -1.998 4.362 0.755 -4.755 0.399 4.337 -1.652 1.351" Properties=species:S:1:pos:R:3 pbc="T T T"
Li 1.798 -2.042 1.505
Li 1.710 -6.694 4.737
Tb 4.630 -6.245 4.561
Ga 3.212 -4.144 3.033
```

Properties
- E_form: -0.271 eV/atom
- Symmetry: F-43m, No. 216
- Total magnetic moment: 0.000 μB per cell
- E: -3.142 eV per atom



Record 6
DFT (PBE-GGA) results for a geometry-optimized Ce2BeGe6Rh structure.

```
20
Lattice="-2.594 3.222 -5.114 2.925 -4.384 -4.246 -7.069 -5.085 0.381" Properties=species:S:1:pos:R:3 pbc="T T T"
Ce -0.858 -3.032 -5.705
Ce -4.642 -4.869 -0.713
Ce -4.334 -5.532 -5.518
Ce -1.048 -2.284 -0.907
Be -4.563 -1.333 -2.756
The piece goes on:
Abstract: Two vital signs including heartbeat and respiratory rate are monitored in this work under two constraint situations; namely noise disturbance and intermittent observations. The existing scheme for finding, measuring and monitoring vital signs was Fourier Transform which could not deal with non-stationary process. As an alternative, the Wavelet Transform is used in this work which is equally applicable to both stationary and non-stationary processes. Additionally, the loss of output data may result in crucial implications in observing vital signs. Formerly, only un-interrupted data has been amalgamated in tracing vital signs. A novel adaptive ARMA-based scheme is proposed to obtain optimum estimated results in the presence of the above two critical scenarios. Simulation results obtained on real (practical) data show that the ARMA-based model produces similar vital signs as shown by clean and un-distorted data. It is shown that the proposed ARMA-based algorithm improves the breathing rate accuracy by 0.3% and heart rate accuracy by 2.5% as compared to the existing AR-based vital signal reconstruction algorithm.
An IR-UWB multi-sensor approach for collision avoidance in indoor environments
F. Khan, S. Azou, R. Youssef, P. Morel, E. Radoi and O. A. Dobre, An IR-UWB Multi-Sensor Approach for Collision Avoidance in Indoor Environments, in IEEE Transactions on Instrumentation and Measurement, vol. 71, pp. 1-13, 2022, Art no. 9503213, doi: 10.1109/TIM.2022.3150582..
Abstract: This paper aims to propose new techniques to detect and distinguish humans from moving machines in indoor environments. Although many research efforts have been already dedicated to humans’ indoor detection, most of the work has been focused on counting people and crowd measurement for consumer business applications. Our objective is to develop a reliable approach for humans’ indoor detection and localization aiming at avoiding collisions inside a mixed Industry 4.0 manned and unmanned environment, so that to enhance the personal and equipment safety and to prevent unwanted intrusions. An original aspect of our research is that we have worked on the real time estimation of humans’ and moving machines’ positions, while addressing the problems of multipath components and noise clutter detection. A multipulse constant false alarm rate detection algorithm is also proposed for removing the misdetections due to heavy clutter components in the indoor environment. Four impulse radio ultrawideband transceivers are placed in a specific geometry and data fusion is performed to reduce the influence of multipath and noise on the detection process. A convolutional neural network (CNN) is then used to extract the patterns corresponding to a moving machine and humans and classify them accordingly. Experiments have been carried out in two different indoor environments to demonstrate the performance of the proposed algorithms.
IR-UWB radar based robust heart rate detection using deep learning technique intended for vehicular applications
F. Khan, S. Azou, R. Youssef, P. Morel, IR-UWB Radar-Based Robust Heart Rate Detection Using a Deep Learning Technique Intended for Vehicular Applications, Electronics, 2022, Vol. 11, No. 16, Art no. 2505,
Abstract: This paper deals with robust heart rate detection intended for the in-car monitoring of people. There are two main problems associated with radar-based heart rate detection. Firstly, the signal associated with the human heart is difficult to separate from breathing harmonics in the frequency domain. Secondly, the vital signal is affected by any interference signal from hand gestures, lips motion during speech or any other random body motions (RBM). To handle the problem of the breathing harmonics, we propose a novel algorithm based on time series data instead of the conventionally used frequency domain technique. In our proposed method, a deep learning classifier is used to detect the pattern of the heart rate signal. To deal with the interference mitigation from the random body motions, we identify an optimum location for the radar sensor inside the car. In this paper, a commercially available Novelda Xethru X4 radar is used for signal acquisition and vital sign measurement of 5 people. The performance of the proposed algorithm is compared with and found to be superior to that of the conventional frequency domain technique.